Tuesday, February 26, 2013

You Don't Know You're Beautiful

I know what you are thinking why is a grown man quoting the title to a One Direction song in his blog? I catch myself saying the same thing... My 4 year old daughter has fallen in love with this song and she sings it every time it finds its way into our radio, and as I started to listen to it I thought to myself, "Man, I wonder if God looks down at us and says, why cant you see that you are beautiful, I cant believe that you don't see you're beautiful!" God spent some time in crafting us, he loved us so much that he created us in his image both male and female (as it tells us in Genesis). I am pretty sure that in our uniqueness every time God created us and planned us out before we were even conceived he looked at what he made and said it , "You are beautiful,what a beautiful and good creation is this!" The best way to illustrate this point is for us to take a look at Psalm 139, David is talking about how power of The Lord and how he is our creator, he says, "You made all the delicate, inner parts of my body and knit me together in my mother’s womb. Thank you for making me so wonderfully complex! Your workmanship is marvelous—how well I know it. You watched me as I was being formed in utter seclusion, as I was woven together in the dark of the womb. You saw me before I was born. Every day of my life was recorded in your book. Every moment was laid out before a single day had passed. How precious are your thoughts about me, O God. They cannot be numbered! I can’t even count them; they outnumber the grains of sand! And when I wake up, you are still with me! (Psalms 139:13-18 NLT)
IF you have been walking around down in the dumps because of the comments of others or even the comments you have for yourself, maybe you need to read this again, David says, "How precious are your thoughts about me, O God. They cannot be numbered! I can’t even count them; they outnumber the grains of sand! And when I wake up, you are still with me!" God thinks so highly of us, he loves us and likes us so much he cannot be away from us, when we are asleep he is still there, and when we wake he is still with us. His thoughts about us are like glowing remarks that a proud father has of his children and he cant help but saying them to everyone he meets. Like when I meet someone and they see the picture of my daughter and sons, I cannot help but share the many ways I am blessed by my children, how Beautiful and handsome they are, and how they complete my life. So to be contrary to the song it is not the fact that you think you arent beautiful that actually makes you beautiful, you are beautiful because God made you that way. Your most quirky feature is precious in his eyes, your faults, your strengths, that one hair that never likes to follow the rest of the group, or for some of us the hairs that no longer like to grow on your head, were made by God and daily he looks down upon you and says, "THATS WHAT MAKES YOU BEAUTIFUL!"
I hope today you start seeing yourself and others through the eyes of God, we are each made beautifully for a purpose, and our beauty becomes more and more apparent when we are living these created lives to serve our Lord and Savior. We do this by following one easy command by Christ, "Love The Lord your God with all your HEART, Soul, Strength, Mind, and love your NEIGHBOR as yourself."

May God Bless You Today And Make His Face Shine Upon You and Give You Peace

Monday, February 25, 2013

I am taking a poll and need responses

Hey everyone, it seems that there are a decent amount of people that are checking out this blog or maybe one personal likes to look at posts a lot, I am not sure, I was thinking about doing a podcast or a video cast and was wondering what people would prefer, this would be a weekly bible study that would probably be topical with hopes of being applicable to your lives and mine for that matter. So the poll would be, what would you all want a video cast so you can see my lovely face or a podcast that you could listen to wherever. Leave comments or emails to ghavinn.crutcher@elkgrovechurchofchrist.org

Wednesday, February 20, 2013

Body of Christ Sermon Series

Ive been writing post about the importance of Christians claiming to be the body of Christ, this sermon series challenges us to start acting like it. This series is inspired by the Casting Crowns song entitled "If We Are the Body" I hope this speaks to you, if you have any questions please ask i will do my best to answer them, if you want to visit us and see what the Elk Grove Church of Christ is all about please join us on sunday, visit www.elkgrovechurchofchrist.org, below are the links to this sermon series for you to listen to, this sunday we will be talking about our feet moving, will be a blast hope you join us.

If We Are The Body

If We Are The Body: Arms Reaching

Feet Going

Words Teaching

Someone pasted data records at this point.
- - -
Here is 2 unconnected molecules or ions with the total composition C3H10NO at a distorted geometry from OMol25. Energies are from ωB97M-V/def2-TZVPD.

Properties
**Gap between HOMO and LUMO**: 6.17 eV
**Total charge**: -1
**Energy above the lowest of the compared OMol25 structures with the same formula, charge and spin**: 84.7 kJ/mol

```
15
Properties=species:S:1:pos:R:3:lowdin_charge:R:1
N 0.40 0.49 -1.11 -0.031
H 1.07 1.43 0.66 0.096
H 2.66 -0.94 -0.43 0.057
H -0.57 0.58 -0.78 0.039
H -3.13 -1.59 1.30 0.018
H 2.95 0.69 -0.94 0.053
H -2.80 -1.37 -0.45 0.026
C -2.95 -0.82 0.52 -0.509
C 1.16 0.46 0.14 -0.375
H 0.66 1.29 -1.65 0.033
H 3.30 0.30 0.73 0.050
H 0.63 -0.27 0.76 0.089
O -2.01 0.05 0.94 -0.436
C 2.62 0.08 -0.08 -0.131
H -3.99 -0.38 0.38 0.020
```

Here is a molecular structure, C3H5N5 at a distorted geometry from OMol25. Energies are from ωB97M-V/def2-TZVPD.

Properties
**Gap between HOMO and LUMO**: 9.49 eV
**Energy above the lowest of the compared OMol25 structures with the same formula, charge and spin**: 734.3 kJ/mol

```
13
Properties=species:S:1:pos:R:3:lowdin_charge:R:1
C 0.63 -0.60 -0.22 -0.292
C 0.29 0.70 0.55 -0.351
N 1.05 -0.28 -1.63 -0.074
N 0.78 1.00 1.89 0.094
H 2.17 -0.26 -1.88 0.139
H 1.66 -1.32 0.24 0.222
N -0.97 0.75 0.37 -0.036
N -0.40 1.43 2.31 -0.122
H -1.50 -0.68 -1.36 0.128
H -1.76 -1.63 0.37 0.185
C -1.00 -0.76 -0.26 -0.001
N -1.43 1.12 1.66 0.015
H 0.47 0.53 -2.04 0.092
```

no.,energy (Eh)
1,-250.2591
2,-390.8387
- - -

God Bless

No Regret Sermon Series

Click on the link below to hear my sermon series on living with no regrets, we learned the verse that moses spoke in his only psalm, "Teach us to number our days aright so we may gain a heart of wisdom." Psalm 90:12 this scripture and the book 1 month to live inspired this sermon series. i hope thee bless you and help challenge you to live well and live fully the way God has intended for you.






if you like what you have heard and live in the sacramento elk grove area join us on sundays, visit www.elkgrovechurchofchrist.org for more details. if you don't live close and these sermons bring up questions for you please leave comments or email me directly you can find my email on the website listed.

Monday, February 18, 2013

If we are the Body, Where are our feet moving?

We are continuing in our study of being the body of Christ, today I wanted to discuss our movement. When I walk into churches in the area I can truly tell which families are actively moving towards something and those that are complacent and sitting in the park position. In revelation Jesus asks john to write this letter to the church of Laodicea discussing what they must do to find favor in Him. It reads "“To the angel of the church in Laodicea write: These are the words of the Amen, the faithful and true witness, the ruler of God’s creation. I know your deeds, that you are neither cold nor hot. I wish you were either one or the other! So, because you are lukewarm—neither hot nor cold—I am about to spit you out of my mouth.You say, ‘I am rich; I have acquired wealth and do not need a thing.’ But you do not realize that you are wretched, pitiful, poor, blind and naked. (Revelation 3:14-17 NIV)" How often as a body do we ride the fence, we talk about being Christ to the masses on sunday but when we leave the building we just become another member of the world. As a body we need our feet moving, moving toward the goal, which is Christ and on that journey pick up some folks along the way. I would like to believe that we should be viewing our journey like the school age game the blob, where our goal is to get every player involved to become part of a bigger unit picking up more and more people until everyone is apart of the blob. Wouldn't that be a great idea, as Christians as we walk around through this world our excitement for God is so huge that we cant help but to pick up more and more as we carry on through our lives. I hope with all of my heart that we as a body not just in Elk Grove but all over the world can be a church that is on fire for Christ, one that wont be spit out of the mouth but savored in it because of its amazing flavor. How do we do this you may be asking? We can start by moving our feet toward those who are hurting, those that need help, those who are hungry for whats missing in their lives, we move to them instead of sitting in our safe buildings waiting and hoping for the day they come through our doors and move toward us. Have you been moving toward your co-workers leading them with your actions to Christ? Have you moved toward your family member that has been distant, showing them the comfort they need that only comes from Christ? have you been moving anywhere at all in your actions for serving the father? This week my challenge is for you to notice your feet, make an effort to move in a direction that can lead others who are following behind you as individuals and as a church , that you will lead them to the cross and as they sit under its majesty they can't help but to bow before it and say "God, I am ready to accept you in my life, I am ready for you to lead me, guide me, and yes I am ready, so ready, to be forgiven!" what a glorious day that will be.

God bless you this week

Wednesday, February 13, 2013

Reach out and touch The Lord

In 2007 I was blessed to take s group of 10 people to South Africa for a mission trip. This trip was amazing, one of the things that made this trip amazing was a stop at a church in one of the "black" (as they call it) town ships. This church was very passionate about their worship to God like many other "3rd" world countries. During our time there they sang a song titled "reach out and touch The Lord" they sang this song through a few times and each time more and more passion came through them. One of the lines out of this song is "reach out and touch The Lord as he passes by you know he is not too busy to her your cry, he's passing by this moment your needs he'll supply, so reach out and touch The Lord as he walks by." It got me thinking, we need to understand that Jesus as he walked by spent so much of his time reaching out and touching others, and on the occasions when others reached out to him even without asking for healing, received it because of how strong their faith was. How many times have you reached out to Christ in faith and prayer for healing, guidance, marital help, emotional fulfillment or whatever. I feel it is rare that we reach out to God and have faith that he isn't too busy to hear our concerns, yet instead as he is walking by we watch him carry on because we lack the faith to reach out and ask for his help. Don't be too full of pride that you can't ask for help, God reveals himself in mysterious ways don't miss your opportunity to be in his presence.

Saturday, February 9, 2013

Body of Christ part deux

How many of you have decided that you weren't good enough to do something at church because so in so does it better. Or maybe you had great ideas or talents but you couldn't use them because someone was already doing that job. If you have felt this way I want you to read through 1 Corinthians 12:12-27. Paul is talking to the church of Corinth and letting people know, hey guess what every piece of the body is important from the toenails to the hair on your head. The body won't be complete without all parts working together in unison. God blessed you with certain talents some of us talk well, other are huggers, encourages, givers, preachers, singers, cleaners, cookers, etc... We all have gifts each are equally important because through our gifts people can find God. With all of this said I want you to realize how important you are and that God made you great for his kingdom. Don't take it for granted but use your gifts until you can't anymore and when you can't teach others to carry it on.

Join us www.elkgrovechurchofchrist.org

Tuesday, February 5, 2013

<<<
one) 11
Properties=species:S:1:pos:R:3 method="wB97M-V/def2-TZVPD" orbital_gap_ev=9.2 lumo_ev=0.1 e_homo_ev=-9.02 smiles="COC(=S)CCl"
C 2.02 1.47 -0.22
O 0.77 1.07 0.33
C 0.34 -0.17 0.26
S 1.30 -1.39 -0.20
C -1.07 -0.31 0.79
Cl -2.31 0.23 -0.37
H 2.04 1.37 -1.28
H 2.85 0.88 0.23
H 2.12 2.49 0.07
H -1.30 -1.35 1.13
H -1.04 0.39 1.64



two) 11
Properties=species:S:1:pos:R:3 method="wB97M-V/def2-TZVPD" orbital_gap_ev=10.0 lumo_ev=0.6 e_homo_ev=-9.40 smiles=O[C@@H]1[C@H](S)[C@H]1Cl
O 0.83 2.01 -0.19
C 0.01 1.08 0.38
C 0.44 -0.37 0.55
S 2.03 -0.87 -0.04
C -0.67 0.03 -0.38
Cl -2.35 -0.43 -0.05
H 1.54 1.55 -0.70
H -0.55 1.54 1.20
H 0.05 -0.76 1.48
H 1.55 -1.82 -0.87
H -0.46 0.19 -1.44



one) is the most stable structure; the next one sits 0.610 eV above it.



one) 68
Properties=species:S:1:pos:R:3 method="wB97M-V/def2-TZVPD" orbital_gap_ev=4.5 lumo_ev=1.0 total_charge=-1 e_homo_ev=-3.56
Y -0.43 -1.18 1.21
Cl -0.94 5.65 3.55
C -0.75 3.92 3.41
C 0.42 3.32 3.86
C 0.58 1.96 3.77
C -0.42 1.12 3.21
O -0.25 -0.17 3.17
C -1.60 1.77 2.74
C -2.73 1.04 2.17
N -2.61 -0.05 1.51
C -3.76 -0.74 1.04
C -4.91 -0.12 0.61
C -5.99 -0.89 0.14
C -5.89 -2.25 0.07
C -4.71 -2.91 0.47
C -4.52 -4.31 0.35
C -3.33 -4.86 0.70
C -2.31 -4.02 1.19
N -2.44 -2.72 1.34
C -3.63 -2.15 0.97
C -1.76 3.16 2.88
H 1.21 3.93 4.29
H 1.48 1.48 4.13
H -3.72 1.46 2.35
H -4.98 0.96 0.61
H -6.88 -0.39 -0.20
H -6.71 -2.85 -0.32
H -5.32 -4.92 -0.06
H -3.10 -5.91 0.54
H -1.33 -4.42 1.41
H -2.67 3.63 2.55
Se 1.04 -5.59 -4.50
Sb 0.71 -5.90 -2.14
Se 0.05 -2.60 -1.05
Se 1.17 -3.31 0.94
Se -1.50 -6.75 -1.67
C 5.32 3.36 1.20
C 5.65 2.25 0.44
C 4.66 1.36 0.05
C 3.34 1.57 0.43
C 3.02 2.68 1.20
C 4.00 3.58 1.58
As 1.92 0.34 -0.08
C 2.66 -0.62 -1.57
C 3.45 -1.76 -1.50
C 3.67 -2.49 -2.66
C 3.11 -2.08 -3.86
C 2.35 -0.93 -3.93
C 2.11 -0.19 -2.78
C 1.20 0.97 -2.67
C 0.56 1.61 -3.73
C -0.30 2.67 -3.48
C -0.52 3.12 -2.19
C 0.11 2.49 -1.12
C 0.97 1.43 -1.37
H 6.10 4.06 1.50
H 6.67 2.08 0.15
H 4.92 0.50 -0.55
H 1.99 2.85 1.51
H 3.74 4.45 2.17
H 3.82 -2.12 -0.55
H 4.23 -3.42 -2.62
H 3.23 -2.70 -4.74
H 1.89 -0.64 -4.87
H 0.71 1.27 -4.75
H -0.79 3.16 -4.31
H -1.19 3.95 -2.01
H -0.07 2.82 -0.11



two) 68
Properties=species:S:1:pos:R:3 method="wB97M-V/def2-TZVPD" orbital_gap_ev=5.8 lumo_ev=1.5 total_charge=-1 e_homo_ev=-4.26
Y -1.81 0.91 0.48
Cl -5.63 -5.48 -1.04
C -4.57 -4.09 -0.93
C -4.51 -3.19 -1.99
C -3.68 -2.10 -1.92
C -2.87 -1.87 -0.78
O -2.08 -0.84 -0.72
C -2.96 -2.78 0.29
C -2.21 -2.62 1.52
N -1.40 -1.67 1.78
C -0.67 -1.70 2.99
C -0.57 -2.77 3.85
C 0.16 -2.68 5.05
C 0.81 -1.53 5.39
C 0.77 -0.43 4.51
C 1.43 0.79 4.81
C 1.40 1.81 3.91
C 0.73 1.60 2.69
N 0.07 0.51 2.40
C 0.06 -0.51 3.30
C -3.82 -3.89 0.20
H -5.13 -3.35 -2.86
H -3.64 -1.37 -2.71
H -2.38 -3.43 2.24
H -1.06 -3.70 3.61
H 0.20 -3.55 5.70
H 1.35 -1.45 6.32
H 1.94 0.89 5.76
H 1.87 2.76 4.10
H 0.71 2.39 1.96
H -3.88 -4.59 1.03
Se -1.61 3.69 1.14
Sb -4.05 2.96 1.40
Se -3.55 0.87 2.71
Se -4.14 1.89 -0.85
Se -5.70 4.51 2.15
C 4.51 -1.12 -4.61
C 3.67 -0.02 -4.69
>>>
(The quantum chemistry results stop here)

Are we taking seriously being the BODY of Christ?

There is a song by "Casting Crowns" Titled "If We Are The Body" and it talks about a few things that i want us to delve into these next few weeks. The line goes like this, "If we are the body why aren't his arms reaching, why aren't his hands healing, why are his words teaching, and if we are the body why aren't his feet going, why his love not showing them there is a way." I want us to think about this for a second, we call our selves the body, a group of people that meet to declare that the Lord Jesus Christ came and DIED on the CROSS for our SINS! However ultimately we declare this only to a bunch of other people that already know this information and rarely do much more than that. We may see someone that is hurting and disheveled and instead of reaching out to them we cross the road because we don't want to be on the same side of the street as that kind of riff raff. Or how many of you have done this one, where you know someone is looking for someone to talk to but you know its going to take a long time and you don't want to "deal" with it so you scoot out the back door, or find something to take your time away from them so you won't get "Stuck" with them. How about we don't beat around the bush here, you talk a mean Christian and know all the right things to say but ultimately what outsiders see is just a "Mean Christian." Is this ringing home; over the next few weeks we are going to get back to the basics, we are going to see how Christ used his earthly body to show us that there is a way. A way to a better life, a way to healing, a way to be lifted up, a way to be forgiven, a way to heaven, and Jesus is the way. Through this discussion and topic i hope we see that Christ used his body to reach out to the unreachable, to forgive the unforgivable, to touch the untouchable, and to heal the unhealable. Christ's body was constantly at work and found new ways to engage others at their level of learning so they couldn't deny his wisdom and power. i hope that in our lives each and everyone of us can reach someone at their level accepting them helping them understand there is a way, I found my way through an amazing mother that wanted to emphasize a life with Christ is better than any life without him. a Mother that wouldn't force us or give us standards we couldn't reach but instead, reached out with her arms and hugged, put her hands on us and kissed away out hurts, walked with us in our journey, and used her words often in a way that would teach us and impact us for a lifetime. My mom understands she is a vessel for Christ, I am hoping to take that example and let my kids and the generations that is following me to live that example out as well. Hopefully you have someone like that in your life that helped you find your way and if you did, pay it forward there are many who are hurting and empty inside looking for the way, the hope of being fulfilled. do me a favor and write down some names of people you have been putting off talking to about Christ, and look at that name pray everyday for the rest of this week that you will gain the strength wisdom and opportunity to talk to them about Jesus. We are not guaranteed tomorrow it maybe the time today to help people find their tomorrow in Christ.

The text is interrupted by records of molecules:
=====
Entry 1:
C2H16BrO6 | ωB97M-V/def2-TZVPD

For the total energy, the calculation gives -3111.36386 Eh. The HOMO-LUMO gap comes out at 9.1 eV. The calculation puts the lowest unoccupied orbital energy at 0.12087 hartree.

ORCA input file:
```
! RIJCOSX wB97M-V def2-TZVPD def2/J DEFGRID3
* xyz -1 1
Br -0.62099 -0.54024 -0.55574
C 1.08207 -1.48547 3.46853
C 1.05173 -0.03968 3.10397
O -0.27579 0.20701 2.69686
H 2.08501 -1.82180 3.73139
H 0.69666 -2.11189 2.66407
H 0.45905 -1.66118 4.34549
H 1.70398 0.11727 2.24488
H 1.44250 0.65230 3.85001
H -0.35800 0.25075 1.74139
O 0.91465 1.93478 -2.81034
H 1.01537 1.44705 -3.62778
H 0.70886 1.26694 -2.15622
O -1.93339 2.82376 -0.83477
H -1.38606 3.24834 -1.49537
H -1.38380 2.12437 -0.48118
O -3.67241 0.21874 -1.81156
H -3.56122 0.02148 -2.74159
H -2.96845 -0.26372 -1.37807
O 2.80901 -0.04358 -0.23236
H 1.86438 0.08007 -0.32525
H 3.13153 0.80026 0.08411
O -0.87472 -2.30837 -3.53287
H -1.49880 -2.94903 -3.19183
H -0.43120 -1.96821 -2.75582
*
```

Results of the Löwdin charge analysis, in e, for atoms 1 through 5: 0.060 -0.105 -0.346 -0.130 0.065


Entry 2:
C2H16HfO13 | ωB97M-V/def2-TZVPD

For the total energy, the calculation gives -1111.56081 Eh. The HOMO-LUMO gap comes out at 10.4 eV. The calculation puts the lowest unoccupied orbital energy at -0.27261 hartree.

ORCA input file:
```
! RIJCOSX wB97M-V def2-TZVPD def2/J DEFGRID3
* xyz 2 1
Hf -0.81041 -1.03434 -0.41538
C 1.35459 0.21566 -0.78038
O 0.22559 0.58766 -1.15638
O 2.42759 1.05166 -0.76138
O 1.19659 -0.92434 -0.33137
H 2.10859 1.92966 -0.72638
C -0.24941 -2.87534 -2.08938
O -0.24641 -2.94734 -0.87438
O -0.11441 -3.94034 -2.93038
O -0.58641 -1.72834 -2.37737
H -0.16141 -4.70534 -2.33137
O 0.29759 3.23666 0.18562
H 0.23659 4.19466 0.13962
H -0.39041 2.96866 -0.39738
O -1.27941 0.66766 0.91662
H -0.71741 1.28666 1.33062
H -2.13741 1.00566 1.07362
O -0.38341 -1.77634 1.58563
H 0.50659 -2.07034 1.86562
H -0.84541 -2.12734 2.36362
O 2.08259 -2.05134 2.34662
H 1.81859 -2.24334 3.22362
H 2.18659 -1.10534 2.38462
O 2.55259 0.62066 2.51762
H 2.59559 1.22066 3.28762
H 2.60159 1.20266 1.77163
O -2.31941 0.09566 -1.47938
H -2.33841 1.02766 -1.65638
H -3.17541 -0.08434 -1.90338
O -1.88141 2.53966 -1.42138
H -2.79641 2.73266 -1.14138
H -1.75841 3.02966 -2.21938
*
```

Results of the Löwdin charge analysis, in e, for atoms 1 through 5: 1.876 -0.602 -0.056 0.236 0.002


Entry 3:
C2H16NO5 | ωB97M-V/def2-TZVPD

For the total energy, the calculation gives -516.51540 Eh. The HOMO-LUMO gap comes out at 10.8 eV. The calculation puts the lowest unoccupied orbital energy at -0.09806 hartree.

ORCA input file:
```
! RIJCOSX wB97M-V def2-TZVPD def2/J DEFGRID3
* xyz 1 1
C 0.66092 -0.45483 1.34753
O 0.42086 -1.62395 0.57949
C -0.38305 0.51062 0.68717
N -0.09079 0.75387 -0.74254
H 1.68820 -0.19908 1.11482
H 0.48280 -0.47191 2.41698
H -0.05319 -2.36472 1.11613
H -1.41612 0.16058 0.81041
H -0.33371 1.43319 1.25553
H -0.27781 -0.09138 -1.32024
H 0.85064 1.14072 -0.85008
=====

questions or comments leave them here or email me ghavinn.crutcher@elkgrovechurchofchrist.org